Frequently Asked Questions about EV Cosmos an EV Cosmos Plus Products


Frequently Asked Questions

FAQs EV Cosmos+ App

If you have any specific queries please connect with us on WhatsApp. Following are some general Faqs related to EV Cosmos Plus Products.

Add amount in your wallet by click on “+” sign in home tab.
Payment for charging sessions happens through the pre-paid mechanism. You can make payment by using UPI, wallet, Debit card, credit card etc.
In Home Tab click on Balance option, here you will get all the reload details and your wallet balance details etc.
Yes, just contact customer support. Call or WhatsApp +91 99810 32747
After downloading the app and registration you can start charging:

By Mobile Application - Just scan QR Code as shown on the charger screen or on the sticker near the screen

By RFID Card - You can also start charging by tapping the card if you have it. For getting a dedicated RFID Card please contact our customer support team.

Kindly contact EV COSMOS customer support number +91 99810 32747 or mail at
Users can update their profile by clicking on “Profile” option. User can edit their details inside the “Edit profile”.
Yes, a working internet connection is required while the user is utilizing the EV COSMOS Plus app for charging the vehicle.
I love EV COSMOS charging station for my electric car. !

"It is very convenient to find a nearby charger using their app, and the charging speed is amazing. The price is also very reasonable and transparent, and I can pay online without any hassle. The customer service is friendly and helpful, and they always resolve any issues quickly. EV COSMOS is the best EV charging solution in India, and I would recommend it to anyone who owns an electric car."

EV COSMOS charging station is a great service for EV owners. !

"I have been using it for six months and I am very happy with it. The app is user-friendly and shows me all the information I need, such as the location, availability, and cost of the chargers. The charging stations are well-maintained and secure, and the charging process is smooth and fast. The customer support is also excellent and responsive. EV COSMOS is a reliable and affordable EV charging solution, and I highly appreciate it."

Frequently Asked questions

FAQs EV Cosmos App

If you have any specific queries please connect with us on WhatsApp. Following are some general Faqs related to EV Cosmos App.

• These calculated crystals were left in the entry by mistake:
+++
Record 1
Starting from a crystal structure in Alexandria, relaxed with PBE, the X-ray diffraction stick pattern of Er3Sc was simulated for Cu Kα, 1.54184 Å.
Neutral-atom scattering factors, no anomalous dispersion.

Top 10 peaks for 2θ from 5° to 70°, sorted by position:
18.2°, d = 4.873 Å, I 14
25.9°, d = 3.446 Å, I 12
31.8°, d = 2.813 Å, I 100
36.9°, d = 2.437 Å, I 50
41.4°, d = 2.179 Å, I 7
45.6°, d = 1.989 Å, I 6
53.2°, d = 1.723 Å, I 35
56.7°, d = 1.624 Å, I 4
63.3°, d = 1.469 Å, I 41
66.5°, d = 1.407 Å, I 12

a = 4.873 Å, b = 4.873 Å, c = 4.873 Å
α = 90.00°, β = 90.00°, γ = 90.00°
Space group Pm-3m (No. 221)
Symmetry-distinct sites (fractional):
Er  0.000  0.000  0.500
Sc  0.500  0.500  0.500


Record 2
Starting from a crystal structure in Alexandria, relaxed with PBE, the X-ray diffraction stick pattern of RbNpPaO6 was simulated for Cu Kα, 1.54184 Å.
Neutral-atom scattering factors, no anomalous dispersion.

Top 10 peaks for 2θ from 5° to 70°, sorted by position:
13.6°, d = 6.504 Å, I 65
26.2°, d = 3.397 Å, I 100
27.4°, d = 3.252 Å, I 72
31.7°, d = 2.820 Å, I 11
41.6°, d = 2.169 Å, I 28
45.6°, d = 1.991 Å, I 37
53.3°, d = 1.719 Å, I 13
53.9°, d = 1.700 Å, I 23
54.1°, d = 1.696 Å, I 11
63.4°, d = 1.467 Å, I 13

a = 7.966 Å, b = 7.985 Å, c = 11.241 Å
α = 90.00°, β = 90.00°, γ = 90.00°
Space group Imma (No. 74)
Symmetry-distinct sites (fractional):
Rb  0.000  0.250  0.123
Np  0.000  0.000  0.500
Pa  0.250  0.250  0.750
O  0.000  0.250  0.441
O  0.000  0.250  0.822
O  0.184  0.051  0.623


Record 3
Starting from a crystal structure in Alexandria, relaxed with PBE, the X-ray diffraction stick pattern of Ho5Ga2 was simulated for Cu Kα, 1.54184 Å.
Neutral-atom scattering factors, no anomalous dispersion.

Top 10 peaks for 2θ from 5° to 70°, sorted by position:
26.6°, d = 3.347 Å, I 55
30.2°, d = 2.962 Å, I 61
31.0°, d = 2.884 Å, I 100
32.3°, d = 2.774 Å, I 84
32.9°, d = 2.720 Å, I 51
33.5°, d = 2.677 Å, I 48
33.7°, d = 2.662 Å, I 53
34.4°, d = 2.610 Å, I 46
36.6°, d = 2.453 Å, I 86
38.0°, d = 2.367 Å, I 58

a = 15.650 Å, b = 6.189 Å, c = 8.021 Å
α = 90.00°, β = 97.54°, γ = 90.00°
Space group C2/c (No. 15)
Symmetry-distinct sites (fractional):
Ho  0.000  0.124  0.250
Ho  0.095  0.364  0.924
Ho  0.221  0.083  0.319
Ga  0.104  0.193  0.582


Record 4
Starting from a crystal structure in Alexandria, relaxed with PBE, the X-ray diffraction stick pattern of TbSe3O9 was simulated for Cu Kα, 1.54184 Å.
Neutral-atom scattering factors, no anomalous dispersion.

Top 10 peaks for 2θ from 5° to 70°, sorted by position:
13.7°, d = 6.480 Å, I 46
17.3°, d = 5.131 Å, I 19
19.6°, d = 4.531 Å, I 100
22.5°, d = 3.943 Å, I 56
24.7°, d = 3.610 Å, I 20
25.3°, d = 3.519 Å, I 19
26.3°, d = 3.394 Å, I 40
28.2°, d = 3.166 Å, I 26
30.4°, d = 2.942 Å, I 34
33.3°, d = 2.693 Å, I 37

a = 14.554 Å, b = 8.358 Å, c = 10.361 Å
α = 90.00°, β = 126.89°, γ = 90.00°
Space group Cc (No. 9)
Symmetry-distinct sites (fractional):
Tb  0.000  0.237  0.000
Se  0.140  0.121  0.799
+++

Add amount in your wallet by click on topup option..
Payment for charging sessions happens through the pre-paid mechanism. You can make payment by using UPI, wallet, Debit card, credit card etc..
In Home Tab click on Balance option, here you will get all the reload details and your wallet balance details also.
Yes, just contact customer support. Call or WhatsApp +91 99810 32747
After downloading the app and registration, just click on charger and enter charger pin showing in charger screen or just scan QR Code. You can also start charging by EV Cosmos RFID card.
Kindly contact EV COSMOS customer support number or mail at
Users can update their profile by clicking on Menu Button and then clicking on “Edit Profile” option.
Yes, a working internet connection is required while the user is utilizing the EV COSMOS app for charging the vehicle.